Record 1
Ba12Si5Pb: computed powder X-ray diffraction pattern (copper Kα), based on a GGA-PBE-relaxed structure.
No peak broadening, texture or thermal motion is included.

Atomic structure:
Lattice parameters (Å, degrees): 11.014 11.511 11.851 90.00 90.00 90.00
Space group Immm (No. 71)
Inequivalent atoms, fractional coordinates:
Ba 0.000 0.197 0.216
Ba 0.197 0.500 0.179
Ba 0.215 0.319 0.500
Si 0.000 0.000 0.000
Si 0.000 0.390 0.000
Si 0.000 0.500 0.397
Pb 0.000 0.000 0.500

Main lines, low angle first (2θ from 10° to 80°):
- 2θ = 23.93°, I = 22, hkl 1 0 3
- 2θ = 24.38°, I = 38, hkl 0 3 1
- 2θ = 25.46°, I = 31, hkl 3 1 0
- 2θ = 26.99°, I = 100, hkl 2 2 2
- 2θ = 28.88°, I = 96, hkl 2 1 3
- 2θ = 29.83°, I = 26, hkl 3 2 1
- 2θ = 32.52°, I = 19, hkl 4 0 0
- 2θ = 44.95°, I = 27, hkl 0 3 5
- 2θ = 48.68°, I = 23, hkl 2 5 3
- 2θ = 50.17°, I = 25, hkl 5 3 2

=====

Record 2
Ba2Sn6Pb: computed powder X-ray diffraction pattern (copper Kα), based on a GGA-PBE-relaxed structure.
No peak broadening, texture or thermal motion is included.

Atomic structure:
Lattice parameters (Å, degrees): 12.376 7.108 6.703 90.00 90.13 90.00
Space group C2/m (No. 12)
Inequivalent atoms, fractional coordinates:
Ba 0.166 0.000 0.150
Sn 0.094 0.220 0.655
Sn 0.187 0.500 0.344
Pb 0.000 0.500 0.000

Main lines, low angle first (2θ from 10° to 80°):
- 2θ = 28.34°, I = 55, hkl 3 1 1
- 2θ = 28.43°, I = 28, hkl 0 2 1
- 2θ = 30.35°, I = 87, hkl 2 0 -2
- 2θ = 31.88°, I = 50, hkl 4 0 1
- 2θ = 31.95°, I = 100, hkl 2 2 -1
- 2θ = 39.76°, I = 25, hkl 2 2 2
- 2θ = 46.23°, I = 23, hkl 3 3 1
- 2θ = 51.21°, I = 27, hkl 6 2 0
- 2θ = 56.94°, I = 19, hkl 5 1 -3
- 2θ = 57.14°, I = 23, hkl 4 2 3

=====

Set down only the lines above with the word "thermal" in them.

No peak broadening, texture or thermal motion is included.
No peak broadening, texture or thermal motion is included.